Entries:
........
No. 1
VASP calculation (GGA-PBE) on a relaxed structure of Sr2SeN.

Cell lengths 7.019, 7.309, 7.900 Å; angles 90.00, 90.00, 90.00 degrees
Fractional coordinates of all 16 atoms:
Sr (0.204, 0.018, 0.142)
Sr (0.204, 0.482, 0.142)
Sr (0.296, 0.518, 0.642)
Sr (0.296, 0.982, 0.642)
Sr (0.704, 0.018, 0.358)
Sr (0.704, 0.482, 0.358)
Sr (0.796, 0.518, 0.858)
Sr (0.796, 0.982, 0.858)
Se (0.043, 0.750, 0.403)
Se (0.457, 0.250, 0.903)
Se (0.543, 0.750, 0.097)
Se (0.957, 0.250, 0.597)
N (0.099, 0.750, 0.866)
N (0.401, 0.250, 0.366)
N (0.599, 0.750, 0.634)
N (0.901, 0.250, 0.134)

Results
energy relative to the lowest polymorph listed for this composition = 0.044 eV per atom
uncorrected formation energy = -0.86 eV per atom
magnetic moment = 1.00 μB/f.u.
volume = 25.33 Å³ per atom


No. 2
VASP calculation (GGA-PBE) on a relaxed structure of Ce2AuN.

Cell lengths 3.086, 3.086, 7.652 Å; angles 90.00, 90.00, 90.00 degrees
Fractional coordinates of all 4 atoms:
Ce (0.000, 0.000, 0.193)
Ce (0.000, 0.000, 0.807)
Au (0.500, 0.500, 0.500)
N (0.500, 0.500, 0.000)

Results
uncorrected formation energy = -0.70 eV per atom
magnetic moment = 0.00 μB/f.u.
volume = 18.22 Å³ per atom


No. 3
VASP calculation (GGA-PBE) on a relaxed structure of LaSc2In6.

Cell lengths 8.281, 8.281, 8.281 Å; angles 148.09, 125.18, 64.85 degrees
Fractional coordinates of all 9 atoms:
La (0.000, 0.000, 0.000)
Sc (0.383, 0.883, 0.500)
Sc (0.617, 0.117, 0.500)
In (0.002, 0.308, 0.695)
In (0.316, 0.500, 0.816)
In (0.387, 0.692, 0.695)
In (0.613, 0.308, 0.305)
In (0.684, 0.500, 0.184)
In (0.998, 0.692, 0.305)

Results
magnetic moment = 0.00 μB/f.u.
volume = 26.96 Å³ per atom
E_form = -294 meV/atom


No. 4
VASP calculation (GGA-PBE) on a relaxed structure of Dy2Ho3.

Cell lengths 12.202, 7.556, 14.126 Å; angles 59.68, 32.32, 88.00 degrees
Fractional coordinates of all 10 atoms:
Dy (0.221, 0.779, 0.355)
Dy (0.605, 0.895, 0.471)
Dy (0.779, 0.221, 0.645)
Dy (0.895, 0.605, 0.029)
Ho (0.061, 0.144, 0.640)
Ho (0.095, 0.610, 0.106)
Ho (0.144, 0.061, 0.155)
Ho (0.304, 0.304, 0.696)
Ho (0.554, 0.554, 0.946)
Ho (0.610, 0.095, 0.189)

Results
energy relative to the lowest polymorph listed for this composition = 0.052 eV per atom
magnetic moment = 0.00 μB/f.u.
volume = 31.77 Å³ per atom
E_form = 188 meV/atom


No. 5
VASP calculation (GGA-PBE) on a relaxed structure of YNiCl3.

Cell lengths 5.302, 5.302, 5.302 Å; angles 90.00, 90.00, 90.00 degrees
Fractional coordinates of all 5 atoms:
Y (0.000, 0.000, 0.000)
Ni (0.500, 0.500, 0.500)
Cl (0.000, 0.000, 0.500)
Cl (0.000, 0.500, 0.000)
Cl (0.500, 0.000, 0.000)

Results
energy relative to the lowest polymorph listed for this composition = 0.000 eV per atom
uncorrected formation energy = -0.83 eV per atom
magnetic moment = 2.00 μB/f.u.
volume = 29.81 Å³ per atom


No. 6
VASP calculation (GGA-PBE) on a relaxed structure of TlAuSe4.

Cell lengths 5.135, 18.681, 7.500 Å; angles 90.00, 90.00, 90.00 degrees
Fractional coordinates of all 24 atoms:
Tl (0.000, 0.167, 0.250)
Tl (0.000, 0.833, 0.750)
Tl (0.500, 0.333, 0.750)
Tl (0.500, 0.667, 0.250)
Au (0.000, 0.431, 0.250)
Au (0.000, 0.569, 0.750)
Au (0.500, 0.069, 0.750)
Au (0.500, 0.931, 0.250)
Se (0.200, 0.181, 0.674)
Se (0.200, 0.819, 0.174)
Se (0.209, 0.022, 0.037)
Se (0.209, 0.978, 0.537)
Se (0.291, 0.478, 0.537)
Se (0.291, 0.522, 0.037)
Se (0.300, 0.319, 0.174)
Se (0.300, 0.681, 0.674)
Se (0.700, 0.319, 0.326)
Se (0.700, 0.681, 0.826)
Se (0.709, 0.478, 0.963)
Se (0.709, 0.522, 0.463)
Se (0.791, 0.022, 0.463)
Se (0.791, 0.978, 0.963)
Se (0.800, 0.181, 0.826)
Se (0.800, 0.819, 0.326)

Results
energy relative to the lowest polymorph listed for this composition = 0.000 eV per atom
uncorrected formation energy = -0.03 eV per atom
magnetic moment = 0.00 μB/f.u.
volume = 29.98 Å³ per atom


No. 7
VASP calculation (GGA-PBE) on a relaxed structure of Cd3CuHg.

Cell lengths 6.712, 6.712, 7.035 Å; angles 121.41, 121.41, 74.54 degrees
Fractional coordinates of all 10 atoms:
Cd (0.047, 0.415, 0.188)
........

Request:
Now quote the contents earlier on word for word.

Solution:
No. 1
VASP calculation (GGA-PBE) on a relaxed structure of Sr2SeN.

Cell lengths 7.019, 7.309, 7.900 Å; angles 90.00, 90.00, 90.00 degrees
Fractional coordinates of all 16 atoms:
Sr (0.204, 0.018, 0.142)
Sr (0.204, 0.482, 0.142)
Sr (0.296, 0.518, 0.642)
Sr (0.296, 0.982, 0.642)
Sr (0.704, 0.018, 0.358)
Sr (0.704, 0.482, 0.358)
Sr (0.796, 0.518, 0.858)
Sr (0.796, 0.982, 0.858)
Se (0.043, 0.750, 0.403)
Se (0.457, 0.250, 0.903)
Se (0.543, 0.750, 0.097)
Se (0.957, 0.250, 0.597)
N (0.099, 0.750, 0.866)
N (0.401, 0.250, 0.366)
N (0.599, 0.750, 0.634)
N (0.901, 0.250, 0.134)

Results
energy relative to the lowest polymorph listed for this composition = 0.044 eV per atom
uncorrected formation energy = -0.86 eV per atom
magnetic moment = 1.00 μB/f.u.
volume = 25.33 Å³ per atom


No. 2
VASP calculation (GGA-PBE) on a relaxed structure of Ce2AuN.

Cell lengths 3.086, 3.086, 7.652 Å; angles 90.00, 90.00, 90.00 degrees
Fractional coordinates of all 4 atoms:
Ce (0.000, 0.000, 0.193)
Ce (0.000, 0.000, 0.807)
Au (0.500, 0.500, 0.500)
N (0.500, 0.500, 0.000)

Results
uncorrected formation energy = -0.70 eV per atom
magnetic moment = 0.00 μB/f.u.
volume = 18.22 Å³ per atom


No. 3
VASP calculation (GGA-PBE) on a relaxed structure of LaSc2In6.

Cell lengths 8.281, 8.281, 8.281 Å; angles 148.09, 125.18, 64.85 degrees
Fractional coordinates of all 9 atoms:
La (0.000, 0.000, 0.000)
Sc (0.383, 0.883, 0.500)
Sc (0.617, 0.117, 0.500)
In (0.002, 0.308, 0.695)
In (0.316, 0.500, 0.816)
In (0.387, 0.692, 0.695)
In (0.613, 0.308, 0.305)
In (0.684, 0.500, 0.184)
In (0.998, 0.692, 0.305)

Results
magnetic moment = 0.00 μB/f.u.
volume = 26.96 Å³ per atom
E_form = -294 meV/atom


No. 4
VASP calculation (GGA-PBE) on a relaxed structure of Dy2Ho3.

Cell lengths 12.202, 7.556, 14.126 Å; angles 59.68, 32.32, 88.00 degrees
Fractional coordinates of all 10 atoms:
Dy (0.221, 0.779, 0.355)
Dy (0.605, 0.895, 0.471)
Dy (0.779, 0.221, 0.645)
Dy (0.895, 0.605, 0.029)
Ho (0.061, 0.144, 0.640)
Ho (0.095, 0.610, 0.106)
Ho (0.144, 0.061, 0.155)
Ho (0.304, 0.304, 0.696)
Ho (0.554, 0.554, 0.946)
Ho (0.610, 0.095, 0.189)

Results
energy relative to the lowest polymorph listed for this composition = 0.052 eV per atom
magnetic moment = 0.00 μB/f.u.
volume = 31.77 Å³ per atom
E_form = 188 meV/atom


No. 5
VASP calculation (GGA-PBE) on a relaxed structure of YNiCl3.

Cell lengths 5.302, 5.302, 5.302 Å; angles 90.00, 90.00, 90.00 degrees
Fractional coordinates of all 5 atoms:
Y (0.000, 0.000, 0.000)
Ni (0.500, 0.500, 0.500)
Cl (0.000, 0.000, 0.500)
Cl (0.000, 0.500, 0.000)
Cl (0.500, 0.000, 0.000)

Results
energy relative to the lowest polymorph listed for this composition = 0.000 eV per atom
uncorrected formation energy = -0.83 eV per atom
magnetic moment = 2.00 μB/f.u.
volume = 29.81 Å³ per atom


No. 6
VASP calculation (GGA-PBE) on a relaxed structure of TlAuSe4.

Cell lengths 5.135, 18.681, 7.500 Å; angles 90.00, 90.00, 90.00 degrees
Fractional coordinates of all 24 atoms:
Tl (0.000, 0.167, 0.250)
Tl (0.000, 0.833, 0.750)
Tl (0.500, 0.333, 0.750)
Tl (0.500, 0.667, 0.250)
Au (0.000, 0.431, 0.250)
Au (0.000, 0.569, 0.750)
Au (0.500, 0.069, 0.750)
Au (0.500, 0.931, 0.250)
Se (0.200, 0.181, 0.674)
Se (0.200, 0.819, 0.174)
Se (0.209, 0.022, 0.037)
Se (0.209, 0.978, 0.537)
Se (0.291, 0.478, 0.537)
Se (0.291, 0.522, 0.037)
Se (0.300, 0.319, 0.174)
Se (0.300, 0.681, 0.674)
Se (0.700, 0.319, 0.326)
Se (0.700, 0.681, 0.826)
Se (0.709, 0.478, 0.963)
Se (0.709, 0.522, 0.463)
Se (0.791, 0.022, 0.463)
Se (0.791, 0.978, 0.963)
Se (0.800, 0.181, 0.826)
Se (0.800, 0.819, 0.326)

Results
energy relative to the lowest polymorph listed for this composition = 0.000 eV per atom
uncorrected formation energy = -0.03 eV per atom
magnetic moment = 0.00 μB/f.u.
volume = 29.98 Å³ per atom


No. 7
VASP calculation (GGA-PBE) on a relaxed structure of Cd3CuHg.

Cell lengths 6.712, 6.712, 7.035 Å; angles 121.41, 121.41, 74.54 degrees
Fractional coordinates of all 10 atoms:
Cd (0.047, 0.415, 0.188)